Material
........
Computed powder XRD pattern of HfZrCo2Sb2 for Cu Kα X-rays, from the PBE geometry in OQMD.
No peak broadening, texture or thermal motion is included.

Crystal structure
```
data_HfZrCo2Sb2
_chemical_formula_sum 'Hf4 Zr4 Co8 Sb8'
_space_group_name_H-M_alt 'P 1 m 1'
_space_group_IT_number 6
_cell_length_a 8.600
_cell_length_b 4.299
_cell_length_c 12.899
_cell_angle_alpha 90.00
_cell_angle_beta 109.47
_cell_angle_gamma 90.00
loop_
_space_group_symop_operation_xyz
'x,y,z'
'x,-y,z'
loop_
_atom_site_label
_atom_site_fract_x
_atom_site_fract_y
_atom_site_fract_z
Hf1 0.000 0.000 0.000
Hf2 0.125 0.500 0.750
Hf3 0.250 0.000 0.500
Hf4 0.500 0.000 0.000
Zr1 0.375 0.500 0.250
Zr2 0.625 0.500 0.750
Zr3 0.750 0.000 0.500
Zr4 0.875 0.500 0.250
Co1 0.062 0.500 0.124
Co2 0.188 0.000 0.875
Co3 0.311 0.500 0.625
Co4 0.436 0.000 0.375
Co5 0.562 0.500 0.124
Co6 0.688 0.000 0.876
Co7 0.814 0.500 0.626
Co8 0.939 0.000 0.376
Sb1 0.002 0.500 0.501
Sb2 0.125 0.000 0.250
Sb3 0.250 0.500 0.999
Sb4 0.374 0.000 0.750
Sb5 0.499 0.500 0.500
Sb6 0.625 0.000 0.249
Sb7 0.750 0.500 0.000
Sb8 0.877 0.000 0.751
```

Peak list (10 most intense, 2θ = 5–70°, by angle)
two_theta	d [Å]	I_rel	hkl
7.27	12.162	2.0	0 0 1
10.91	8.108	1.8	1 0 0
25.37	3.511	10.6	2 0 1
29.38	3.040	49.0	0 0 4
42.03	2.150	100.0	2 1 3
49.73	1.833	4.7	4 1 0
52.10	1.755	13.4	4 0 2
60.95	1.520	16.2	0 0 8
67.10	1.395	1.8	2 2 5
69.08	1.360	17.4	4 2 2
........

To do
It remains to set down all of the lines earlier on with every line break kept.

Solution
Computed powder XRD pattern of HfZrCo2Sb2 for Cu Kα X-rays, from the PBE geometry in OQMD.
No peak broadening, texture or thermal motion is included.

Crystal structure
```
data_HfZrCo2Sb2
_chemical_formula_sum 'Hf4 Zr4 Co8 Sb8'
_space_group_name_H-M_alt 'P 1 m 1'
_space_group_IT_number 6
_cell_length_a 8.600
_cell_length_b 4.299
_cell_length_c 12.899
_cell_angle_alpha 90.00
_cell_angle_beta 109.47
_cell_angle_gamma 90.00
loop_
_space_group_symop_operation_xyz
'x,y,z'
'x,-y,z'
loop_
_atom_site_label
_atom_site_fract_x
_atom_site_fract_y
_atom_site_fract_z
Hf1 0.000 0.000 0.000
Hf2 0.125 0.500 0.750
Hf3 0.250 0.000 0.500
Hf4 0.500 0.000 0.000
Zr1 0.375 0.500 0.250
Zr2 0.625 0.500 0.750
Zr3 0.750 0.000 0.500
Zr4 0.875 0.500 0.250
Co1 0.062 0.500 0.124
Co2 0.188 0.000 0.875
Co3 0.311 0.500 0.625
Co4 0.436 0.000 0.375
Co5 0.562 0.500 0.124
Co6 0.688 0.000 0.876
Co7 0.814 0.500 0.626
Co8 0.939 0.000 0.376
Sb1 0.002 0.500 0.501
Sb2 0.125 0.000 0.250
Sb3 0.250 0.500 0.999
Sb4 0.374 0.000 0.750
Sb5 0.499 0.500 0.500
Sb6 0.625 0.000 0.249
Sb7 0.750 0.500 0.000
Sb8 0.877 0.000 0.751
```

Peak list (10 most intense, 2θ = 5–70°, by angle)
two_theta	d [Å]	I_rel	hkl
7.27	12.162	2.0	0 0 1
10.91	8.108	1.8	1 0 0
25.37	3.511	10.6	2 0 1
29.38	3.040	49.0	0 0 4
42.03	2.150	100.0	2 1 3
49.73	1.833	4.7	4 1 0
52.10	1.755	13.4	4 0 2
60.95	1.520	16.2	0 0 8
67.10	1.395	1.8	2 2 5
69.08	1.360	17.4	4 2 2